_To do_
What is needed: restate the whole of the lines underneath unchanged.
_Entries_
-- begin --
Record 1
Material: La3Pt2
Method: DFT, PBE-GGA
State: relaxed

Unit cell a=7.825 b=7.825 c=7.825 alpha=71.41 beta=71.41 gamma=71.41
Atoms (fractional coordinates):
La 0.000 0.000 0.000
La 0.163 0.393 0.669
La 0.201 0.201 0.201
La 0.331 0.837 0.607
La 0.393 0.669 0.163
La 0.607 0.331 0.837
La 0.669 0.163 0.393
La 0.799 0.799 0.799
La 0.837 0.607 0.331
Pt 0.043 0.833 0.411
Pt 0.167 0.589 0.957
Pt 0.411 0.043 0.833
Pt 0.589 0.957 0.167
Pt 0.833 0.411 0.043
Pt 0.957 0.167 0.589

## Properties
Uncorrected energy, eV/atom: -6.36
Crystal system: trigonal
Energy relative to the elements, meV per atom: -985



Record 2
Material: La7Pt3
Method: DFT, PBE-GGA
State: relaxed

Unit cell a=10.353 b=10.353 c=6.537 alpha=90.00 beta=90.00 gamma=120.00
Atoms (fractional coordinates):
La 0.074 0.537 0.000
La 0.126 0.253 0.698
La 0.126 0.874 0.698
La 0.253 0.126 0.198
La 0.333 0.667 0.482
La 0.463 0.537 0.000
La 0.463 0.926 0.000
La 0.537 0.074 0.500
La 0.537 0.463 0.500
La 0.667 0.333 0.982
La 0.747 0.874 0.698
La 0.874 0.126 0.198
La 0.874 0.747 0.198
La 0.926 0.463 0.500
Pt 0.188 0.377 0.247
Pt 0.188 0.812 0.247
Pt 0.377 0.188 0.747
Pt 0.623 0.812 0.247
Pt 0.812 0.188 0.747
Pt 0.812 0.623 0.747

## Properties
Uncorrected energy, eV/atom: -6.05
Crystal system: hexagonal
Energy relative to the elements, meV per atom: -789



Record 3
Material: La2Pt
Method: DFT, PBE-GGA
State: relaxed

Unit cell a=8.957 b=8.957 c=8.957 alpha=60.00 beta=60.00 gamma=60.00
Atoms (fractional coordinates):
La 0.000 0.000 0.000
La 0.000 0.000 0.500
La 0.000 0.500 0.000
La 0.500 0.000 0.000
Pt 0.125 0.125 0.125
Pt 0.875 0.875 0.875

## Properties
Uncorrected energy, eV/atom: -4.98
Crystal system: cubic
Energy relative to the elements, meV per atom: 324



Record 4
Material: LaPt
Method: DFT, PBE-GGA
State: relaxed

Unit cell a=4.639 b=4.639 c=4.639 alpha=60.00 beta=60.00 gamma=60.00
Atoms (fractional coordinates):
La 0.000 0.000 0.000
Pt 0.750 0.750 0.750

## Properties
Uncorrected energy, eV/atom: -6.10
Crystal system: cubic
Energy relative to the elements, meV per atom: -611



Record 5
Material: LaPuPt
Method: DFT, PBE-GGA
State: relaxed

Unit cell a=4.992 b=4.992 c=4.992 alpha=60.00 beta=60.00 gamma=60.00
Atoms (fractional coordinates):
La 0.000 0.000 0.000
Pu 0.500 0.500 0.500
Pt 0.250 0.250 0.250

## Properties
Uncorrected energy, eV/atom: -8.99
Crystal system: cubic
Energy relative to the elements, meV per atom: -624
Relative energy among the computed polymorphs, eV per atom: 0.0000



Record 6
Material: LaPuPt
Method: DFT, PBE-GGA
State: relaxed

Unit cell a=4.793 b=4.793 c=4.793 alpha=60.00 beta=60.00 gamma=60.00
Atoms (fractional coordinates):
La 0.000 0.000 0.000
Pu 0.250 0.250 0.250
Pt 0.750 0.750 0.750

## Properties
Uncorrected energy, eV/atom: -8.56
Crystal system: cubic
Energy relative to the elements, meV per atom: -191
Relative energy among the computed polymorphs, eV per atom: 0.4332


Entry 1:
Nd6BiBr8: optimized geometry, PBE.

abc: 11.594 11.594 11.594
angles: 37.29 37.29 37.29
Positions (direct):
Nd1 0.097 0.447 0.798
Nd2 0.202 0.903 0.553
Nd3 0.447 0.798 0.097
Nd4 0.553 0.202 0.903
Nd5 0.798 0.097 0.447
Nd6 0.903 0.553 0.202
Bi1 0.500 0.500 0.500
Br1 0.070 0.713 0.391
Br2 0.167 0.167 0.167
Br3 0.287 0.609 0.930
Br4 0.391 0.070 0.713
Br5 0.609 0.930 0.287
Br6 0.713 0.391 0.070
Br7 0.833 0.833 0.833
Br8 0.930 0.287 0.609

Calculated values
Total magnetization, μB per atom: 0.000
ΔE_f (raw), eV per atom: -1.3964
Raw total energy, eV per atom: -4.4544
Space-group type: No. 148
N(E_F), states/eV/f.u.: 4.1

Entry 2:
Nd6Bi5Br: optimized geometry, PBE.

abc: 7.942 7.942 7.929
angles: 99.59 99.59 120.02
Positions (direct):
Nd1 0.074 0.415 0.746
Nd2 0.244 0.244 0.255
Nd3 0.415 0.074 0.746
Nd4 0.585 0.926 0.254
Nd5 0.756 0.756 0.745
Nd6 0.926 0.585 0.254
Bi1 0.000 0.000 0.500
Bi2 0.167 0.833 0.000
Bi3 0.335 0.665 0.500
Bi4 0.665 0.335 0.500
Bi5 0.833 0.167 0.000
Br1 0.500 0.500 0.000

Calculated values
Total magnetization, μB per atom: 0.000
-- stop --
_Response_
Record 1
Material: La3Pt2
Method: DFT, PBE-GGA
State: relaxed

Unit cell a=7.825 b=7.825 c=7.825 alpha=71.41 beta=71.41 gamma=71.41
Atoms (fractional coordinates):
La 0.000 0.000 0.000
La 0.163 0.393 0.669
La 0.201 0.201 0.201
La 0.331 0.837 0.607
La 0.393 0.669 0.163
La 0.607 0.331 0.837
La 0.669 0.163 0.393
La 0.799 0.799 0.799
La 0.837 0.607 0.331
Pt 0.043 0.833 0.411
Pt 0.167 0.589 0.957
Pt 0.411 0.043 0.833
Pt 0.589 0.957 0.167
Pt 0.833 0.411 0.043
Pt 0.957 0.167 0.589

## Properties
Uncorrected energy, eV/atom: -6.36
Crystal system: trigonal
Energy relative to the elements, meV per atom: -985



Record 2
Material: La7Pt3
Method: DFT, PBE-GGA
State: relaxed

Unit cell a=10.353 b=10.353 c=6.537 alpha=90.00 beta=90.00 gamma=120.00
Atoms (fractional coordinates):
La 0.074 0.537 0.000
La 0.126 0.253 0.698
La 0.126 0.874 0.698
La 0.253 0.126 0.198
La 0.333 0.667 0.482
La 0.463 0.537 0.000
La 0.463 0.926 0.000
La 0.537 0.074 0.500
La 0.537 0.463 0.500
La 0.667 0.333 0.982
La 0.747 0.874 0.698
La 0.874 0.126 0.198
La 0.874 0.747 0.198
La 0.926 0.463 0.500
Pt 0.188 0.377 0.247
Pt 0.188 0.812 0.247
Pt 0.377 0.188 0.747
Pt 0.623 0.812 0.247
Pt 0.812 0.188 0.747
Pt 0.812 0.623 0.747

## Properties
Uncorrected energy, eV/atom: -6.05
Crystal system: hexagonal
Energy relative to the elements, meV per atom: -789



Record 3
Material: La2Pt
Method: DFT, PBE-GGA
State: relaxed

Unit cell a=8.957 b=8.957 c=8.957 alpha=60.00 beta=60.00 gamma=60.00
Atoms (fractional coordinates):
La 0.000 0.000 0.000
La 0.000 0.000 0.500
La 0.000 0.500 0.000
La 0.500 0.000 0.000
Pt 0.125 0.125 0.125
Pt 0.875 0.875 0.875

## Properties
Uncorrected energy, eV/atom: -4.98
Crystal system: cubic
Energy relative to the elements, meV per atom: 324



Record 4
Material: LaPt
Method: DFT, PBE-GGA
State: relaxed

Unit cell a=4.639 b=4.639 c=4.639 alpha=60.00 beta=60.00 gamma=60.00
Atoms (fractional coordinates):
La 0.000 0.000 0.000
Pt 0.750 0.750 0.750

## Properties
Uncorrected energy, eV/atom: -6.10
Crystal system: cubic
Energy relative to the elements, meV per atom: -611



Record 5
Material: LaPuPt
Method: DFT, PBE-GGA
State: relaxed

Unit cell a=4.992 b=4.992 c=4.992 alpha=60.00 beta=60.00 gamma=60.00
Atoms (fractional coordinates):
La 0.000 0.000 0.000
Pu 0.500 0.500 0.500
Pt 0.250 0.250 0.250

## Properties
Uncorrected energy, eV/atom: -8.99
Crystal system: cubic
Energy relative to the elements, meV per atom: -624
Relative energy among the computed polymorphs, eV per atom: 0.0000



Record 6
Material: LaPuPt
Method: DFT, PBE-GGA
State: relaxed

Unit cell a=4.793 b=4.793 c=4.793 alpha=60.00 beta=60.00 gamma=60.00
Atoms (fractional coordinates):
La 0.000 0.000 0.000
Pu 0.250 0.250 0.250
Pt 0.750 0.750 0.750

## Properties
Uncorrected energy, eV/atom: -8.56
Crystal system: cubic
Energy relative to the elements, meV per atom: -191
Relative energy among the computed polymorphs, eV per atom: 0.4332


Entry 1:
Nd6BiBr8: optimized geometry, PBE.

abc: 11.594 11.594 11.594
angles: 37.29 37.29 37.29
Positions (direct):
Nd1 0.097 0.447 0.798
Nd2 0.202 0.903 0.553
Nd3 0.447 0.798 0.097
Nd4 0.553 0.202 0.903
Nd5 0.798 0.097 0.447
Nd6 0.903 0.553 0.202
Bi1 0.500 0.500 0.500
Br1 0.070 0.713 0.391
Br2 0.167 0.167 0.167
Br3 0.287 0.609 0.930
Br4 0.391 0.070 0.713
Br5 0.609 0.930 0.287
Br6 0.713 0.391 0.070
Br7 0.833 0.833 0.833
Br8 0.930 0.287 0.609

Calculated values
Total magnetization, μB per atom: 0.000
ΔE_f (raw), eV per atom: -1.3964
Raw total energy, eV per atom: -4.4544
Space-group type: No. 148
N(E_F), states/eV/f.u.: 4.1

Entry 2:
Nd6Bi5Br: optimized geometry, PBE.

abc: 7.942 7.942 7.929
angles: 99.59 99.59 120.02
Positions (direct):
Nd1 0.074 0.415 0.746
Nd2 0.244 0.244 0.255
Nd3 0.415 0.074 0.746
Nd4 0.585 0.926 0.254
Nd5 0.756 0.756 0.745
Nd6 0.926 0.585 0.254
Bi1 0.000 0.000 0.500
Bi2 0.167 0.833 0.000
Bi3 0.335 0.665 0.500
Bi4 0.665 0.335 0.500
Bi5 0.833 0.167 0.000
Br1 0.500 0.500 0.000

Calculated values
Total magnetization, μB per atom: 0.000